72 October/November 2023 October/November 2023 73
RedC survey on consiuionl mendmen. Source: Friends of he Irish Environmen
would prefer to put it”, Clarke wrote, “a ‘derived
right’ but must be subject to a referendum. The
advantage of express incorporation is that the
precise type of constitutional right to the
environment which is to be recognised can be
the subject of debate and democratic approval”
and not imposed by the Courts.
The Citizen Assembly on Biodiversity made
this its top recommendation, which the IFA said
had “the potential to signifi cantly increase on
the already overburdened legal and planning
systems as well as infringe farmers’ property
rights”. Nor has the State an appetite for such
a referendum when it has little public support
compared to housing or health, according to a
RedC survey commissioned by FIE.
As to climate budgets for the period until
2030, a delay in allocating the emissions
attributable to land-use and a provision for
“unallocated savings” of 8% of emissions
undermine the objectives. For ‘land use’ read
‘rewetting’ (and the failure of forestry) and
you see why government has kicked the tin
down the road.
The term ‘unallocated savings’ is not
contemplated by, or mentioned in, the Climate
Act or its implementing Regulations and is not
a category in the Common Reporting Guidelines
or in the UN Reporting Guidelines. These
absences fail the ‘specifi city test’ and bring
into question the ceilings for the other sectors,
since the missing savings may a ect the share
of the carbon budget other sectors can emit in
order to stay collectively within the overall
budget for 2025 and 2030.
These ‘framework’ challenges to Government
policy are supported by Ireland’s increasingly
ignored Climate Change Advisory Council,
which has valiantly crunched the numbers and
[Calculated molecules, kept here for reference]
'''
70
Properties=species:S:1:pos:R:3 method="wB97M-V/def2-TZVPD" s2=8.77 spin_multiplicity=6 homo_energy_ev="-14.2866 / -14.2867" charge=+3 homo_lumo_gap_ev="3.2 / 3.6"
Sm 0.51 -0.36 0.05
P -1.64 1.62 0.59
P -0.62 -2.53 1.58
P -1.39 -1.01 -1.98
H 2.95 -0.18 -1.40
C 2.07 0.12 -2.00
C 1.50 1.36 -1.83
H 1.89 2.08 -1.09
C -1.28 2.97 1.81
C -3.21 1.02 1.31
C -2.30 2.65 -0.77
C 0.47 -3.95 1.16
C -0.43 -2.33 3.40
C -2.32 -3.18 1.36
C -1.25 -0.11 -3.57
C -3.19 -1.08 -1.76
C -0.98 -2.72 -2.51
H 1.89 -0.54 -2.85
H 0.76 1.81 -2.51
H -0.33 3.45 1.54
H -1.17 2.56 2.82
H -2.10 3.72 1.79
H -3.01 0.51 2.26
H -3.69 0.30 0.64
H -3.89 1.87 1.49
H -1.48 3.19 -1.24
H -3.03 3.36 -0.36
H -2.77 2.02 -1.53
H 0.27 -4.83 1.78
H 1.52 -3.65 1.29
H 0.36 -4.23 0.10
H -0.62 -3.25 3.99
H -1.13 -1.55 3.75
H 0.58 -1.98 3.63
H -2.57 -4.01 2.03
H -2.47 -3.52 0.33
H -3.04 -2.37 1.55
H -1.76 -0.69 -4.36
H -0.20 0.03 -3.85
H -1.72 0.88 -3.48
H -3.63 -1.56 -2.65
H -3.60 -0.06 -1.66
H -3.44 -1.67 -0.87
H -1.56 -2.94 -3.41
H -1.23 -3.45 -1.73
H 0.09 -2.81 -2.74
C 1.04 -6.26 -2.57
C 1.78 -7.46 -2.71
C 2.64 -7.53 -3.81
C 2.69 -6.52 -4.77
C 1.73 -5.51 -4.72
C 0.81 -5.46 -3.69
O 0.69 -5.61 -1.39
H 0.66 -6.19 -0.58
H 1.69 -8.30 -2.03
H 3.32 -8.37 -3.92
H 3.45 -6.52 -5.55
H 1.72 -4.72 -5.48
H -0.01 -4.75 -3.71
C 3.32 1.99 3.74
C 2.04 1.55 4.09
C 1.23 0.95 3.12
N 1.68 0.74 1.85
C 2.89 1.26 1.47
C 3.74 1.86 2.41
H 3.95 2.45 4.50
H 1.62 1.65 5.10
H 0.20 0.61 3.30
H 3.16 1.19 0.41
H 4.72 2.22 2.09

***

70
Properties=species:S:1:pos:R:3 method="wB97M-V/def2-TZVPD" s2=8.85 spin_multiplicity=6 homo_energy_ev="-16.6950 / -16.7268" charge=+3 homo_lumo_gap_ev="4.9 / 6.2"
Sm 0.53 0.26 1.01
P -2.03 0.02 2.37
P -1.65 -2.15 -0.52
P -1.78 1.18 -1.31
H 4.72 3.28 0.83
C 3.98 4.03 1.05
C 2.74 3.51 1.27
H 2.62 2.46 1.02
C -1.57 -0.68 4.02
C -3.75 -0.60 2.16
C -2.29 1.80 2.73
C -1.06 -3.03 -2.04
C -1.79 -3.69 0.48
C -3.41 -2.13 -1.05
C -1.20 2.89 -1.66
C -3.57 1.53 -1.00
C -1.86 0.59 -3.07
H 4.22 5.08 1.13
H 1.85 4.05 1.71
H -0.49 -0.55 4.23
H -1.83 -1.73 4.03
H -2.16 -0.13 4.76
H -3.71 -1.69 2.02
H -4.23 -0.07 1.33
H -4.23 -0.35 3.11
H -1.37 2.41 2.69
H -2.68 1.81 3.77
H -3.04 2.23 2.06
H -1.74 -3.87 -2.20
H -0.04 -3.41 -1.91
H -1.06 -2.38 -2.92
H -2.20 -4.48 -0.17
H -2.47 -3.55 1.33
H -0.82 -4.03 0.86
H -3.71 -3.17 -1.29
H -3.57 -1.52 -1.95
H -4.07 -1.77 -0.25
H -1.80 3.30 -2.49
H -0.12 2.90 -1.91
H -1.38 3.48 -0.75
H -3.92 2.30 -1.70
H -3.72 1.88 0.03
H -4.15 0.61 -1.16
H -2.17 1.42 -3.72
H -2.58 -0.24 -3.18
H -0.84 0.25 -3.34
C 2.66 0.89 -2.59
C 3.39 1.59 -1.65
C 4.13 2.71 -2.05
C 4.20 3.06 -3.40
C 3.55 2.24 -4.36
C 2.77 1.17 -3.97
Se 1.43 -0.31 -1.74
H 1.72 1.07 -0.78
H 3.39 1.27 -0.63
H 4.60 3.34 -1.26
H 4.72 3.95 -3.72
H 3.68 2.48 -5.42
H 2.25 0.49 -4.67
C 3.17 -3.69 2.88
C 3.67 -2.76 1.95
C 2.78 -1.88 1.32
N 1.44 -1.99 1.51
C 0.97 -2.80 2.49
C 1.81 -3.72 3.13
H 3.86 -4.35 3.42
H 4.74 -2.65 1.73
H 3.15 -1.05 0.71
H -0.05 -2.69 2.85
H 1.36 -4.41 3.83

***

85
'''
[Here the text continues]
this summer expressed the signifi cant fear that
“clarity may arrive too late”. Even given the
1.9% reduction in emissions in 2022, annual
emissions reductions of 12.4% will be required
from 2023-2025 if we are to stay within this
‘legally binding’ carbon budget. Nor is it
possible to create realistic fi ve-year budgets
when the overall budget until 2050 remains
unknown. The credibility of the Green Party, if
not the Government itself, will at least be
tested in open court.
FIE is also challenging omissions in the
sectoral allowances, and inadequacies in the
2023 Annex of Actions.
Climate litigation can also be targeted at
specifi c projects (and hopefully individual
companies), but these are fi ercely resisted.
FIE has successfully delayed, if not stopped,
projects like the proposed Shannon LNG
terminal or the Galway Ring Road. An Taisce
succeeded in linking unsustainable peat
extraction to planning permission for a Bord
na Mona peat powered electric plant but it
failed more recently in a brave attempt to stop
a joint venture agreement with Glanbia’s
Dutch partner Royal-A-Ware from using Ireland
as a ‘milk haven’. The Supreme Court rejected
any (legally) “signifi cant indirect e ects” of
the expansion of milk production to supply the
plant with 450 million litres of milk a year.
And litigation is expensive. FIE’s pioneering
case for legal aid for its challenge to the
National Development Plan was rejected by
the High Court and the Court of Appeal as,
being an NGO, it was not a “person”; to add
salt to the wound, the case seeking the costs
of the appeal on the grounds of (legal) “public
importance” was also unsuccessful.
Climate litigation in Ireland depends on the
goodwill of the legal profession and the
willingness of a few lawyers to act ‘pro bono’
- receiving what in fact is generally only a
portion of their fees, even if the case is won.
The collective costs to all the litigants and
the defendants and the Notice Parties in the
challenge to the extension of Dublin Airport in
2018 was estimated by one barrister to be
€100,000 per day in appearance costs and
€100,000 for each day in research. The case
ran for 10 days.
To bring FIE’s case against overfi shing
through the national courts to the European
Court of Justice – where it awaits judgment as
this is written – cost €220,000 in legal fees.
And still FIE must meet ‘out of pocket’
expenses as solicitors and barristers cannot
be asked to reach into their pockets for outlays
like Court fees. FIE spent more than €7,000
upfront in photocopying for the Supreme
Court Climate Case hearing alone!
The Government’s proposed legislative
changes, in the current Planning Bill, restrict
access to the Courts and limit cost recovery
even when a case is won. It may well be that
all our futures rely on the e ectiveness of
judicial systems worldwide. The jury is still
Tony Lowes is one of the Directors of Friends of
the Irish Environment.
You can follow FIE’s litigation at https://www.